A good working definition of creativity is the ability to see the connections between things, ideas, etc. which do not appear to be connected.
In ordinary states of consciousness, we are "governed" by reason, logic, rationality, conventional wisdom, etc. Drugs tend to induce an altered state of consciousness that releases us from the constraints of reason, logic, rationality, etc. and open up our ability to see non-rational, non-logical connections.
As I said on the other thread on this subject, history is replete of accounts of people whose creativity was "induced" by drugs of one kind or another... which is not to say that creativity is limited to those who take drugs.
But there exists ample evidence to support Timothy Leary's famous "Turn on, tune in, drop out." And he is not alone in that regard: the list of scientists and social scientists is very long, and includes the likes of Sigmund Freud, Carl Jung...
And, yes, Yoga Face, the likes of Beethoven, Mozart, daVinci etc. ingested substances that were not then called drugs... they were called snuff, soporifics, etc. And the history of the use of such substances goes back to early, primitive and indigenous people who left evidence of their use of such substances.
Also, don't forget that until the early 20th century there was no "taboo" against the use of such things; people used marihuana, cocaine, etc. as a matter of fact. Even Coca Cola derived its name from the fact it contained cocaine. In the 19th century, "little old ladies" imbibed in cocaine with their afternoon tea, and marihuana and opium were used without any second thoughts! We even had a war over the right to market opium!
In ordinary states of consciousness, we are "governed" by reason, logic, rationality, conventional wisdom, etc. Drugs tend to induce an altered state of consciousness that releases us from the constraints of reason, logic, rationality, etc. and open up our ability to see non-rational, non-logical connections.
As I said on the other thread on this subject, history is replete of accounts of people whose creativity was "induced" by drugs of one kind or another... which is not to say that creativity is limited to those who take drugs.
These data records were left in the page by mistake:
<<<
A geometry-optimized SmAgRhPb structure. Source: Alexandria via LeMat-Bulk, functional PBE-GGA.

a = 4.958 Å, b = 4.958 Å, c = 4.958 Å
α = 60.00°, β = 60.00°, γ = 60.00°
Fractional positions:
Pb  0.000  0.000  0.000
Rh  0.750  0.750  0.750
Ag  0.250  0.250  0.250
Sm  0.500  0.500  0.500

Summary:
ρ ... 10.951 g/cm³
Uncorrected energy ... -4.976 eV/atom
N(E_F) ... 2.73 states/eV per cell
Formation enthalpy at 0 K ... -30.7 kJ per mole of atoms

~~~~~

1.
Density functional theory data (GGA-PBE) for a relaxed structure of SrMgAg5Sn2.

Summary:
Energy of formation: 0.032 eV/atom

Cell: 5.069 5.069 8.721 Å, 90.00 90.00 90.00°
Fractional positions:
Sr (0.000, 0.000, 0.000)
Mg (0.000, 0.000, 0.500)
Ag (0.000, 0.500, 0.224)
Ag (0.000, 0.500, 0.776)
Ag (0.500, 0.000, 0.224)
Ag (0.500, 0.000, 0.776)
Ag (0.500, 0.500, 0.000)
Sn (0.500, 0.500, 0.337)
Sn (0.500, 0.500, 0.663)

2.
Density functional theory data (GGA-PBE) for a relaxed structure of MgTaAgSn2.

Summary:
Energy of formation: 0.744 eV/atom

Cell: 5.347 5.347 5.284 Å, 90.00 90.00 90.00°
Fractional positions:
Mg (0.000, 0.000, 0.000)
Ta (0.500, 0.500, 0.500)
Ag (0.500, 0.500, 0.000)
Sn (0.000, 0.500, 0.500)
Sn (0.500, 0.000, 0.500)

3.
Density functional theory data (GGA-PBE) for a relaxed structure of TbMg2Ag2Sn2.

Summary:
Energy of formation: -0.335 eV/atom

Cell: 8.741 8.741 8.741 Å, 30.90 30.90 30.90°
Fractional positions:
Tb (0.000, 0.000, 0.000)
Mg (0.138, 0.138, 0.138)
Mg (0.862, 0.862, 0.862)
Ag (0.440, 0.440, 0.440)
Ag (0.560, 0.560, 0.560)
Sn (0.266, 0.266, 0.266)
Sn (0.734, 0.734, 0.734)

4.
Density functional theory data (GGA-PBE) for a relaxed structure of MgAgSnTe3.

Summary:
Raw formation energy: -29.7 kJ/mol of atoms

Cell: 8.570 4.454 9.609 Å, 90.00 100.12 90.00°
Fractional positions:
Mg (0.168, 0.250, 0.170)
Mg (0.832, 0.750, 0.830)
Ag (0.407, 0.750, 0.491)
Ag (0.593, 0.250, 0.509)
Sn (0.328, 0.750, 0.830)
Sn (0.672, 0.250, 0.170)
Te (0.082, 0.250, 0.859)
Te (0.225, 0.250, 0.474)
Te (0.398, 0.750, 0.143)
Te (0.602, 0.250, 0.857)
Te (0.775, 0.750, 0.526)
Te (0.918, 0.750, 0.141)

5.
Density functional theory data (GGA-PBE) for a relaxed structure of MgAgSn2Te4.

Summary:
Raw formation energy: -33.4 kJ/mol of atoms

Cell: 7.504 4.348 7.555 Å, 90.00 109.72 90.00°
Fractional positions:
Mg (0.000, 0.000, 0.000)
Ag (0.000, 0.500, 0.500)
Sn (0.500, 0.000, 0.500)
Sn (0.500, 0.500, 0.000)
Te (0.233, 0.000, 0.748)
Te (0.233, 0.500, 0.240)
Te (0.767, 0.000, 0.252)
Te (0.767, 0.500, 0.760)

6.
Density functional theory data (GGA-PBE) for a relaxed structure of ThMg2Ag2Sn2.

Summary:
Energy of formation: -0.281 eV/atom

Cell: 8.929 8.929 8.929 Å, 30.29 30.29 30.29°
Fractional positions:
Th (0.000, 0.000, 0.000)
Mg (0.139, 0.139, 0.139)
Mg (0.861, 0.861, 0.861)
Ag (0.442, 0.442, 0.442)
Ag (0.558, 0.558, 0.558)
Sn (0.263, 0.263, 0.263)
Sn (0.737, 0.737, 0.737)

7.
Density functional theory data (GGA-PBE) for a relaxed structure of TmMgAgSn.

Summary:
Energy of formation: -0.373 eV/atom
>>>
The data records stop here:
But there exists ample evidence to support Timothy Leary's famous "Turn on, tune in, drop out." And he is not alone in that regard: the list of scientists and social scientists is very long, and includes the likes of Sigmund Freud, Carl Jung...
And, yes, Yoga Face, the likes of Beethoven, Mozart, daVinci etc. ingested substances that were not then called drugs... they were called snuff, soporifics, etc. And the history of the use of such substances goes back to early, primitive and indigenous people who left evidence of their use of such substances.
Also, don't forget that until the early 20th century there was no "taboo" against the use of such things; people used marihuana, cocaine, etc. as a matter of fact. Even Coca Cola derived its name from the fact it contained cocaine. In the 19th century, "little old ladies" imbibed in cocaine with their afternoon tea, and marihuana and opium were used without any second thoughts! We even had a war over the right to market opium!